A Dad is a Son's First Hero and a Daughter's First Love

First Night Home

Kate’s POV
The day had finally come that we could go home and god had I been waiting for it. To sleep in my own bed, eat my own food. It was all I wanted right now.

“I think we need bigger car,” Evgeni looked at the Range Rover with everything stuffed in it.
“I forgot how much space baby seats take up,” I shrugged, "it will be fine for now, your happy there aren’t you Ash?” I looked at the little boy wedged in between his new brother and sister.
“Besides are you going to drive a mini van?”
“No,” Evgeni laughed, “never drive mini van.”

He was going to have to suck that one up, we were going to need a bigger car. Maybe not a mini van but at least a 7 seater four wheel drive.

Evgeni looked a little scared as we walked into the house, “Don’t worry everything is going to be ok,” I ran my hand up and down his arm reassuringly.
“Just nervous, no doctors, nurses, what if something happen?” he looked at the twins sitting in their carriers on the coffee table in front of us.
“They will be fine,” I kissed him on the cheek.

“Kate?” Evgeni looked up at me from feeding Lacey.
“I meant to go to Russia , you not been yet. You want to come?”
“Evgeni but what about the twins?”
“Not yet, in month. I ask nurse she say month they fly.”

I couldn’t say no if he had been asking the nurses about flying. His pleading eyes were too much, “ok, it will be fun right?”
“It will be best trip of your life,” he smiled.

Evgeni’s POV
I had already begun to pick up all the parenting things like changing diapers and feeding but I was yet to master the getting them to sleep.

“Hey Ash can you grab the twins tub?” Kate was trying to include him as much as she could.
He came running in with the little tub so we could give them a bath so they would hopefully go to sleep.

My grip tightened around Lacey as Kate put Luka into the water. Everything they did made me nervous. I didn’t want anything bad to happen to them, ever.

“Do you want to do her?” Kate asked as she pulled Luka from the tub and wrapped him tightly in a towel.
“No, you do,” I couldn’t bring myself to all but dunk my little princess in the water and upset her.

She handed Luka over and he curled up with his face mashed into my chest. “His diaper and pyjamas are on the kitchen bench.”

But I wasn’t ready to put him down just yet. I was going to take advantage of finally having no one else around wanting to hold them; no nurses, no guests and keep him all to myself.

Someone pasted data records at this point =
# Nd4MgTa4Ti4O24 | Materials Project | PBE | optimized geometry
# energy relative to the lowest polymorph listed for this composition: 48 meV/atom
# ΔE_f: -3.48 eV/atom
# symmetry: No. 1
data_Nd4MgTa4Ti4O24
_space_group_name_H-M_alt 'P 1'
_space_group_IT_number 1
_cell_length_a 5.348
_cell_length_b 7.701
_cell_length_c 11.398
_cell_angle_alpha 90.07
_cell_angle_beta 92.31
_cell_angle_gamma 90.24
loop_
_space_group_symop_operation_xyz
'x,y,z'
loop_
_atom_site_label
_atom_site_fract_x
_atom_site_fract_y
_atom_site_fract_z
_atom_site_occupancy
O1 0.439 0.748 0.361 1
O2 0.157 0.753 0.127 1
O3 0.124 0.447 0.712 1
O4 0.728 0.957 0.526 1
O5 0.925 0.252 0.125 1
O6 0.129 0.049 0.707 1
O7 0.622 0.947 0.792 1
O8 0.251 0.033 0.476 1
O9 0.640 0.249 0.398 1
O10 0.781 0.964 0.015 1
O11 0.380 0.072 0.217 1
O12 0.345 0.749 0.620 1
O13 0.246 0.464 0.482 1
O14 0.066 0.748 0.853 1
O15 0.860 0.531 0.281 1
O16 0.541 0.251 0.646 1
O17 0.621 0.552 0.797 1
O18 0.241 0.469 0.979 1
O19 0.887 0.249 0.863 1
O20 0.858 0.962 0.284 1
O21 0.725 0.541 0.530 1
O22 0.245 0.032 0.973 1
O23 0.778 0.537 0.018 1
O24 0.376 0.436 0.218 1
Ta1 0.451 0.504 0.648 1
Ta2 0.057 0.513 0.142 1
Ta3 0.972 0.995 0.852 1
Ta4 0.527 0.994 0.368 1
Ti1 0.044 0.998 0.140 1
Ti2 0.519 0.504 0.381 1
Ti3 0.455 0.991 0.642 1
Ti4 0.972 0.500 0.858 1
Nd1 0.467 0.750 0.960 1
Nd2 0.034 0.748 0.459 1
Nd3 0.950 0.246 0.556 1
Nd4 0.556 0.251 0.977 1
Mg1 0.667 0.272 0.233 1

=====

# PmNdMg2 | Materials Project | PBE | optimized geometry
# ΔE_f: -0.10 eV/atom
# symmetry: No. 225
data_PmNdMg2
_space_group_name_H-M_alt 'P 1'
_space_group_IT_number 1
_cell_length_a 5.485
_cell_length_b 5.485
_cell_length_c 5.485
_cell_angle_alpha 60.00
_cell_angle_beta 60.00
_cell_angle_gamma 60.00
loop_
_space_group_symop_operation_xyz
'x,y,z'
loop_
_atom_site_label
_atom_site_fract_x
_atom_site_fract_y
_atom_site_fract_z
_atom_site_occupancy
Mg1 0.750 0.750 0.750 1
Mg2 0.250 0.250 0.250 1
Pm1 0.000 0.000 0.000 1
Nd1 0.500 0.500 0.500 1

=====

# Nd23Mg4Pt7 | Materials Project | PBE | optimized geometry
# ΔE_f: -0.54 eV/atom
# symmetry: No. 186
data_Nd23Mg4Pt7
_space_group_name_H-M_alt 'P 1'
_space_group_IT_number 1
_cell_length_a 10.138
_cell_length_b 10.138
_cell_length_c 22.939
_cell_angle_alpha 90.00
_cell_angle_beta 90.00
_cell_angle_gamma 120.00
loop_
_space_group_symop_operation_xyz
'x,y,z'
loop_
_atom_site_label
_atom_site_fract_x
_atom_site_fract_y
_atom_site_fract_z
_atom_site_occupancy
Nd1 0.000 0.000 0.501 1
Nd2 0.798 0.202 0.716 1
Nd3 0.129 0.259 0.364 1
Nd4 0.207 0.414 0.779 1
Nd5 0.129 0.871 0.364 1
Nd6 0.202 0.404 0.216 1
Nd7 0.798 0.596 0.716 1
Nd8 0.414 0.207 0.279 1
Nd9 0.788 0.576 0.009 1
Nd10 0.456 0.912 0.642 1
Nd11 0.078 0.539 0.915 1
Nd12 0.912 0.456 0.142 1
Nd13 0.741 0.871 0.364 1
Nd14 0.404 0.202 0.716 1
Nd15 0.587 0.794 0.053 1
Nd16 0.788 0.212 0.009 1
Nd17 0.871 0.129 0.864 1
Nd18 0.212 0.788 0.509 1
Nd19 0.871 0.741 0.864 1
Nd20 0.544 0.088 0.142 1
Nd21 0.596 0.798 0.216 1
Nd22 0.212 0.424 0.509 1

We finally got the twins to bed and then it was Asher’s turn for some of our attention.
“What do you want to do?” we all sat on the couch looking at each other in the silence of the house.
“Can we color?” Asher piped up.
“If that is what you want to do then sure,” Kate smiled at him before he grabbed our hands and dragged us out to the dining table.

It was then that one of the twins started crying, “Evgeni no let them cry,” Kate grabbed my hand stopping me from going to check on them.

The crying continued for a good half an hour and I could see Kate’s patience beginning to wear thin.
She got up in a huff and headed upstairs where silence began to fill the house again.

“Sid right, babies cry,” Asher frowned.
“How they talk,” I explained to him, “you used to do it too.”
He scrunched up his face, “no, never.”
“Yes you did,” I poked him in the ribs.
“No,” he pouted.
“You did, you cried all the time,” I began to tickle him.
“No Daddy,” he protested.
“Is true, cry more than Lacey.”
“Daddy,” he stood up with his arms crossed over his chest.
“Fine, not all the time.”


“I am so glad to be home,” Kate whispered as the twins were sound asleep in their bassinet next to our bed.
“I am glad you home,” I kissed her forehead.

“What are we going to do in Russia?” she laid on my chest.
“You see, I have big plan, surprise just for you,” I ran my hand through her hair.
“Really?” she looked up at me.
“Yes, going to be best,” I rolled over and laid on top of her.

“Evgeni,” she moaned as I kissed her neck.
“Shhh,” I smiled up at her.

That was when one of the babies started crying and I sighed letting my head fall into the crook of her neck.
“Your fault,” she rolled her eyes and slid out from underneath me.

********
The following is a PBE calculation of a relaxed structure of Xe, from the Materials Project database.

Energy   -0.03 eV per atom
E_form   0.00 eV per formula unit
Relative energy among the computed polymorphs   2.1 meV per atom

Cell lengths 4.8316, 4.8316, 35.0297 Å; angles 90.00, 90.00, 120.00 degrees
Space group R-3m (No. 166, hexagonal axes)
One atom of each set of equivalent atoms:
1 Xe 0.0000 0.0000 0.0000 [3 per cell]
2 Xe 0.0000 0.0000 0.2223 [6 per cell]

***

The following is a PBE calculation of a relaxed structure of Y, from the Materials Project database.

Energy   -6.47 eV per atom
E_form   0.00 eV per formula unit
Relative energy among the computed polymorphs   0.0 meV per atom

Cell lengths 3.6020, 3.6020, 26.0048 Å; angles 90.00, 90.00, 120.00 degrees
Space group R-3m (No. 166, hexagonal axes)
One atom of each set of equivalent atoms:
1 Y 0.0000 0.0000 0.0000 [3 per cell]
2 Y 0.0000 0.0000 0.2218 [6 per cell]

***

The following is a PBE calculation of a relaxed structure of Y, from the Materials Project database.

Energy   -6.44 eV per atom
E_form   0.02 eV per formula unit
Relative energy among the computed polymorphs   24.0 meV per atom

Cell lengths 5.063, 5.063, 5.063 Å; angles 90.00, 90.00, 90.00 degrees
Space group Fm-3m (No. 225)
One atom of each set of equivalent atoms:
1 Y 0.000 0.000 0.000 [4 per cell]

***

The following is a PBE calculation of a relaxed structure of Y, from the Materials Project database.

Energy   -6.46 eV per atom
E_form   0.01 eV per formula unit
Relative energy among the computed polymorphs   6.9 meV per atom

Cell lengths 3.5891, 3.5891, 11.5959 Å; angles 90.00, 90.00, 120.00 degrees
Space group P6_3/mmc (No. 194)
One atom of each set of equivalent atoms:
1 Y 0.0000 0.0000 0.0000 [2 per cell]
2 Y 0.3333 0.6667 0.2500 [2 per cell]

***

The following is a PBE calculation of a relaxed structure of Y, from the Materials Project database.

Energy   -6.46 eV per atom
E_form   0.00 eV per formula unit
Relative energy among the computed polymorphs   3.5 meV per atom

Cell lengths 3.6590, 3.6590, 5.6660 Å; angles 90.00, 90.00, 120.00 degrees
Space group P6_3/mmc (No. 194)
One atom of each set of equivalent atoms:
1 Y 0.3333 0.6667 0.2500 [2 per cell]

***

The following is a PBE calculation of a relaxed structure of YZn2, from the Materials Project database.

Energy   -3.34 eV per atom
E_form   -1.03 eV per formula unit

Cell lengths 5.5288, 5.5288, 8.6854 Å; angles 90.00, 90.00, 120.00 degrees
Space group P6_3/mmc (No. 194)
One atom of each set of equivalent atoms:
1 Y 0.3333 0.6667 0.0586 [4 per cell]
2 Zn 0.0000 0.0000 0.0000 [2 per cell]
3 Zn 0.1697 0.3394 0.7500 [6 per cell]

***

The following is a PBE calculation of a relaxed structure of YZn2, from the Materials Project database.

Energy   -3.35 eV per atom
E_form   -1.05 eV per formula unit

Cell lengths 7.735, 7.735, 7.735 Å; angles 90.00, 90.00, 90.00 degrees
Space group Fd-3m (No. 227, origin choice 2)
********

I knew from then on we would be in for no sleep, no sex and complete exhaustion. But I was sure it would be worth it in the end.
♠ ♠ ♠
I am not exactly sure about this one but I am filling some time here